Source:
=====
1.
Computed, not measured: a relaxed structure of HfNbRh at the PBE level of DFT.

## Properties
Its symmetry is P4/nmm. The electronic total energy is -9.511 eV/atom. The relative energy among the computed polymorphs comes out at 62.9 meV per atom. For the density of states at the Fermi level, the calculation gives 7.527 states/eV per cell. As for the energy of formation from the pure elements: -0.386 eV/atom. The spin magnetization is 0.00 μB/cell.

Cell and atoms, written as extended XYZ:
```
6
Lattice="3.9405 0.0209 0.0000 -0.0209 3.9405 0.0000 0.0000 0.0000 7.1518" Properties=species:S:1:pos:R:3 pbc="T T T"
Rh 3.2890 1.3432 5.6397
Rh 1.3082 3.3030 1.5120
Hf 1.3082 3.3030 6.1226
Hf 3.2889 1.3432 1.0291
Nb 1.3190 1.3331 3.5759
Nb 3.2789 3.3138 3.5759
```

=====

2.
Computed, not measured: a relaxed structure of Re2SiAu at the PBE level of DFT.

## Properties
Its symmetry is R3m. The electronic total energy is -8.273 eV/atom. Its uncorrected formation energy is 0.127 eV per atom. For the density of states at the Fermi level, the calculation gives 1.982 states/eV per cell. The spin magnetization is 0.00 μB/cell.

Cell and atoms, written as extended XYZ:
```
4
Lattice="-1.7619 1.9195 8.5716 -0.0326 -0.2961 8.9539 1.0486 2.3014 8.5945" Properties=species:S:1:pos:R:3 pbc="T T T"
Si -0.3763 1.9803 13.1788
Re -0.1850 0.9735 6.4789
Re -0.7411 3.8999 25.9541
Au -0.5622 2.9584 19.6884
```

=====

3.
Computed, not measured: a relaxed structure of CrTcTe at the PBE level of DFT.

## Properties
Its symmetry is Imm2. The electronic total energy is -7.220 eV/atom. Its uncorrected formation energy is 0.491 eV per atom. The relative energy among the computed polymorphs comes out at 502.1 meV per atom. For the density of states at the Fermi level, the calculation gives 2.902 states/eV per cell. The spin magnetization is 1.63 μB/cell.

Cell and atoms, written as extended XYZ:
```
3
Lattice="4.7087 0.0972 -0.0390 1.8888 4.3143 0.0390 -2.9628 -2.7082 2.4638" Properties=species:S:1:pos:R:3 pbc="T T T"
Cr 6.5658 4.3904 0.0000
Tc 2.2181 1.4832 0.0000
Te 4.4111 2.9495 0.0000
```

=====

4.
Computed, not measured: a relaxed structure of Li2H5Rh at the PBE level of DFT.

## Properties
Its symmetry is P1. The electronic total energy is -3.807 eV/atom. The relative energy among the computed polymorphs comes out at 0.0 meV per atom. The spin magnetization is 0.00 μB/cell.

Cell and atoms, written as extended XYZ:
```
8
Lattice="-1.6003 -2.6401 0.3296 4.3425 -1.1061 -2.4246 1.8261 3.0563 4.2812" Properties=species:S:1:pos:R:3 pbc="T T T"
Rh 0.0041 -0.0714 0.0642
H -0.2254 -1.7311 0.2852
H 2.7696 2.2755 3.1928
H 1.0423 -0.5608 1.2436
H 3.4965 -0.2436 1.0886
H 3.3738 -0.4489 -1.2249
Li 2.4622 -1.5601 0.0905
Li 2.1574 0.7056 2.2325
```

=====

5.
Computed, not measured: a relaxed structure of La2Ce3YN6 at the PBE level of DFT.

## Properties
Its symmetry is C2/m. The electronic total energy is -8.474 eV/atom. Its uncorrected formation energy is -1.468 eV per atom. For the density of states at the Fermi level, the calculation gives 7.847 states/eV per cell. The spin magnetization is 0.49 μB/cell.

Cell and atoms, written as extended XYZ:
```
12
Lattice="-4.2578 -4.5884 0.0630 4.5400 0.1175 4.3082 -3.5187 4.7145 2.0659" Properties=species:S:1:pos:R:3 pbc="T T T"
N -0.7170 -2.1861 3.9093
N -0.9721 0.8560 5.4855
N -2.5195 2.4298 2.5279
N -2.2643 -0.6123 0.9517
N 0.5437 0.8897 2.3066
N -3.7802 -0.6460 4.1306
Ce -1.6182 0.1218 3.2186
Ce 1.3297 1.6987 4.6411
Ce -4.5662 -1.4550 1.7961
La -1.3269 -3.0206 1.4773
La 1.6090 -1.4502 2.8940
Y 0.0000 0.0000 0.0000
```

=====

6.
Computed, not measured: a relaxed structure of Y2Ga3Pd4 at the PBE level of DFT.

## Properties
Its symmetry is Cmce. The electronic total energy is -5.607 eV/atom. For the density of states at the Fermi level, the calculation gives 7.971 states/eV per cell. As for the energy of formation from the pure elements: -0.854 eV/atom. The spin magnetization is 0.00 μB/cell.
=====

What to do:
Next, return the lines further above up to the one that holds "La2Ce3YN6 at", that line included.

Result:
1.
Computed, not measured: a relaxed structure of HfNbRh at the PBE level of DFT.

## Properties
Its symmetry is P4/nmm. The electronic total energy is -9.511 eV/atom. The relative energy among the computed polymorphs comes out at 62.9 meV per atom. For the density of states at the Fermi level, the calculation gives 7.527 states/eV per cell. As for the energy of formation from the pure elements: -0.386 eV/atom. The spin magnetization is 0.00 μB/cell.

Cell and atoms, written as extended XYZ:
```
6
Lattice="3.9405 0.0209 0.0000 -0.0209 3.9405 0.0000 0.0000 0.0000 7.1518" Properties=species:S:1:pos:R:3 pbc="T T T"
Rh 3.2890 1.3432 5.6397
Rh 1.3082 3.3030 1.5120
Hf 1.3082 3.3030 6.1226
Hf 3.2889 1.3432 1.0291
Nb 1.3190 1.3331 3.5759
Nb 3.2789 3.3138 3.5759
```

=====

2.
Computed, not measured: a relaxed structure of Re2SiAu at the PBE level of DFT.

## Properties
Its symmetry is R3m. The electronic total energy is -8.273 eV/atom. Its uncorrected formation energy is 0.127 eV per atom. For the density of states at the Fermi level, the calculation gives 1.982 states/eV per cell. The spin magnetization is 0.00 μB/cell.

Cell and atoms, written as extended XYZ:
```
4
Lattice="-1.7619 1.9195 8.5716 -0.0326 -0.2961 8.9539 1.0486 2.3014 8.5945" Properties=species:S:1:pos:R:3 pbc="T T T"
Si -0.3763 1.9803 13.1788
Re -0.1850 0.9735 6.4789
Re -0.7411 3.8999 25.9541
Au -0.5622 2.9584 19.6884
```

=====

3.
Computed, not measured: a relaxed structure of CrTcTe at the PBE level of DFT.

## Properties
Its symmetry is Imm2. The electronic total energy is -7.220 eV/atom. Its uncorrected formation energy is 0.491 eV per atom. The relative energy among the computed polymorphs comes out at 502.1 meV per atom. For the density of states at the Fermi level, the calculation gives 2.902 states/eV per cell. The spin magnetization is 1.63 μB/cell.

Cell and atoms, written as extended XYZ:
```
3
Lattice="4.7087 0.0972 -0.0390 1.8888 4.3143 0.0390 -2.9628 -2.7082 2.4638" Properties=species:S:1:pos:R:3 pbc="T T T"
Cr 6.5658 4.3904 0.0000
Tc 2.2181 1.4832 0.0000
Te 4.4111 2.9495 0.0000
```

=====

4.
Computed, not measured: a relaxed structure of Li2H5Rh at the PBE level of DFT.

## Properties
Its symmetry is P1. The electronic total energy is -3.807 eV/atom. The relative energy among the computed polymorphs comes out at 0.0 meV per atom. The spin magnetization is 0.00 μB/cell.

Cell and atoms, written as extended XYZ:
```
8
Lattice="-1.6003 -2.6401 0.3296 4.3425 -1.1061 -2.4246 1.8261 3.0563 4.2812" Properties=species:S:1:pos:R:3 pbc="T T T"
Rh 0.0041 -0.0714 0.0642
H -0.2254 -1.7311 0.2852
H 2.7696 2.2755 3.1928
H 1.0423 -0.5608 1.2436
H 3.4965 -0.2436 1.0886
H 3.3738 -0.4489 -1.2249
Li 2.4622 -1.5601 0.0905
Li 2.1574 0.7056 2.2325
```

=====

5.
Computed, not measured: a relaxed structure of La2Ce3YN6 at the PBE level of DFT.